File:
-- begin --
DFT (PBE-GGA) results for a relaxed UCoNiGe2 crystal.

- DFT total energy (eV/atom) = -7.027
- energy above the most stable polymorph in this dataset (meV/atom) = 43
- formation energy from the elements (kJ per mole of atoms) = -33

a b c (Å): 5.691 5.691 5.691
angles (deg): 139.05 139.05 59.30
Element x y z (fractional)
U1 0.000 0.000 0.000
Co1 0.250 0.750 0.500
Ni1 0.750 0.250 0.500
Ge1 0.377 0.377 0.000
Ge2 0.623 0.623 0.000

=====

DFT (PBE-GGA) results for a relaxed PrMg2Ag crystal.

- DFT total energy (eV/atom) = -2.826
- formation energy from the elements (kJ per mole of atoms) = -12
- total magnetization (μB per formula unit) = 0.00

a b c (Å): 5.103 5.103 5.103
angles (deg): 60.00 60.00 60.00
Element x y z (fractional)
Pr1 0.000 0.000 0.000
Mg1 0.250 0.250 0.250
Mg2 0.750 0.750 0.750
Ag1 0.500 0.500 0.500

=====

DFT (PBE-GGA) results for a relaxed HoInPd crystal.

- DFT total energy (eV/atom) = -4.987
- formation energy from the elements (kJ per mole of atoms) = -79

a b c (Å): 7.760 7.760 3.785
angles (deg): 90.00 90.00 120.00
Element x y z (fractional)
Ho1 0.000 0.595 0.000
Ho2 0.405 0.405 0.000
Ho3 0.595 0.000 0.000
In1 0.000 0.262 0.500
In2 0.262 0.000 0.500
In3 0.738 0.738 0.500
Pd1 0.000 0.000 0.000
Pd2 0.333 0.667 0.500
Pd3 0.667 0.333 0.500

=====

DFT (PBE-GGA) results for a relaxed Cd2SiO4 crystal.

- DFT total energy (eV/atom) = -5.699
- energy above the most stable polymorph in this dataset (meV/atom) = 0
- formation energy from the elements (kJ per mole of atoms) = -215

a b c (Å): 7.819 6.734 5.867
angles (deg): 76.36 56.82 46.82
Element x y z (fractional)
Cd1 0.061 0.689 0.061
Cd2 0.311 0.939 0.311
Cd3 0.689 0.061 0.689
Cd4 0.939 0.311 0.939
Si1 0.375 0.375 0.375
Si2 0.625 0.625 0.625
O1 0.190 0.707 0.353
O2 0.249 0.353 0.707
O3 0.293 0.810 0.751
O4 0.353 0.249 0.190
O5 0.647 0.751 0.810
O6 0.707 0.190 0.249
O7 0.751 0.647 0.293
O8 0.810 0.293 0.647

=====

DFT (PBE-GGA) results for a relaxed Rb2Ta15O32 crystal.

- DFT total energy (eV/atom) = -9.586
- formation energy from the elements (kJ per mole of atoms) = -302

a b c (Å): 12.960 12.960 12.960
angles (deg): 35.41 35.41 35.41
Element x y z (fractional)
Rb1 0.140 0.140 0.140
Rb2 0.860 0.860 0.860
Ta1 0.025 0.571 0.699
Ta2 0.053 0.815 0.228
Ta3 0.185 0.772 0.947
Ta4 0.228 0.053 0.815
Ta5 0.301 0.975 0.429
Ta6 0.362 0.362 0.362
Ta7 0.429 0.301 0.975
Ta8 0.500 0.500 0.500
Ta9 0.571 0.699 0.025
Ta10 0.638 0.638 0.638
Ta11 0.699 0.025 0.571
Ta12 0.772 0.947 0.185
Ta13 0.815 0.228 0.053
Ta14 0.947 0.185 0.772
Ta15 0.975 0.429 0.301
O1 0.034 0.151 0.447
O2 0.040 0.299 0.858
O3 0.142 0.960 0.701
O4 0.151 0.447 0.034
O5 0.155 0.570 0.457
O6 0.170 0.258 0.571
O7 0.258 0.571 0.170
O8 0.260 0.471 0.672
O9 0.264 0.264 0.264
O10 0.299 0.858 0.040
O11 0.328 0.740 0.529
O12 0.429 0.830 0.742
O13 0.430 0.543 0.845
O14 0.447 0.034 0.151
O15 0.457 0.155 0.570
O16 0.471 0.672 0.260
O17 0.529 0.328 0.740
O18 0.543 0.845 0.430
O19 0.553 0.966 0.849
O20 0.570 0.457 0.155
O21 0.571 0.170 0.258
O22 0.672 0.260 0.471
O23 0.701 0.142 0.960
O24 0.736 0.736 0.736
O25 0.740 0.529 0.328
O26 0.742 0.429 0.830
O27 0.830 0.742 0.429
O28 0.845 0.430 0.543
O29 0.849 0.553 0.966
O30 0.858 0.040 0.299
O31 0.960 0.701 0.142
O32 0.966 0.849 0.553

=====

DFT (PBE-GGA) results for a relaxed Si2Ni6B crystal.

- DFT total energy (eV/atom) = -6.280
- formation energy from the elements (kJ per mole of atoms) = -46

a b c (Å): 6.110 6.110 2.859
angles (deg): 90.00 90.00 120.00
Element x y z (fractional)
Si1 0.333 0.667 0.000
Si2 0.667 0.333 0.000
Ni1 0.000 0.389 0.500
Ni2 0.000 0.755 0.000
Ni3 0.245 0.245 0.000
Ni4 0.389 0.000 0.500
Ni5 0.611 0.611 0.500
Ni6 0.755 0.000 0.000
B1 0.000 0.000 0.500

=====

DFT (PBE-GGA) results for a relaxed Na4Sc3TaP6O24 crystal.

- DFT total energy (eV/atom) = -7.565
- formation energy from the elements (kJ per mole of atoms) = -296
- total magnetization (μB per formula unit) = 0.00

a b c (Å): 8.916 8.919 22.786
angles (deg): 90.02 90.04 119.97
-- stop --
Job:
Could you start at the top of the entries earlier on and write out each line, ending with the one that has "0.638 0.638"?
Response:
DFT (PBE-GGA) results for a relaxed UCoNiGe2 crystal.

- DFT total energy (eV/atom) = -7.027
- energy above the most stable polymorph in this dataset (meV/atom) = 43
- formation energy from the elements (kJ per mole of atoms) = -33

a b c (Å): 5.691 5.691 5.691
angles (deg): 139.05 139.05 59.30
Element x y z (fractional)
U1 0.000 0.000 0.000
Co1 0.250 0.750 0.500
Ni1 0.750 0.250 0.500
Ge1 0.377 0.377 0.000
Ge2 0.623 0.623 0.000

=====

DFT (PBE-GGA) results for a relaxed PrMg2Ag crystal.

- DFT total energy (eV/atom) = -2.826
- formation energy from the elements (kJ per mole of atoms) = -12
- total magnetization (μB per formula unit) = 0.00

a b c (Å): 5.103 5.103 5.103
angles (deg): 60.00 60.00 60.00
Element x y z (fractional)
Pr1 0.000 0.000 0.000
Mg1 0.250 0.250 0.250
Mg2 0.750 0.750 0.750
Ag1 0.500 0.500 0.500

=====

DFT (PBE-GGA) results for a relaxed HoInPd crystal.

- DFT total energy (eV/atom) = -4.987
- formation energy from the elements (kJ per mole of atoms) = -79

a b c (Å): 7.760 7.760 3.785
angles (deg): 90.00 90.00 120.00
Element x y z (fractional)
Ho1 0.000 0.595 0.000
Ho2 0.405 0.405 0.000
Ho3 0.595 0.000 0.000
In1 0.000 0.262 0.500
In2 0.262 0.000 0.500
In3 0.738 0.738 0.500
Pd1 0.000 0.000 0.000
Pd2 0.333 0.667 0.500
Pd3 0.667 0.333 0.500

=====

DFT (PBE-GGA) results for a relaxed Cd2SiO4 crystal.

- DFT total energy (eV/atom) = -5.699
- energy above the most stable polymorph in this dataset (meV/atom) = 0
- formation energy from the elements (kJ per mole of atoms) = -215

a b c (Å): 7.819 6.734 5.867
angles (deg): 76.36 56.82 46.82
Element x y z (fractional)
Cd1 0.061 0.689 0.061
Cd2 0.311 0.939 0.311
Cd3 0.689 0.061 0.689
Cd4 0.939 0.311 0.939
Si1 0.375 0.375 0.375
Si2 0.625 0.625 0.625
O1 0.190 0.707 0.353
O2 0.249 0.353 0.707
O3 0.293 0.810 0.751
O4 0.353 0.249 0.190
O5 0.647 0.751 0.810
O6 0.707 0.190 0.249
O7 0.751 0.647 0.293
O8 0.810 0.293 0.647

=====

DFT (PBE-GGA) results for a relaxed Rb2Ta15O32 crystal.

- DFT total energy (eV/atom) = -9.586
- formation energy from the elements (kJ per mole of atoms) = -302

a b c (Å): 12.960 12.960 12.960
angles (deg): 35.41 35.41 35.41
Element x y z (fractional)
Rb1 0.140 0.140 0.140
Rb2 0.860 0.860 0.860
Ta1 0.025 0.571 0.699
Ta2 0.053 0.815 0.228
Ta3 0.185 0.772 0.947
Ta4 0.228 0.053 0.815
Ta5 0.301 0.975 0.429
Ta6 0.362 0.362 0.362
Ta7 0.429 0.301 0.975
Ta8 0.500 0.500 0.500
Ta9 0.571 0.699 0.025
Ta10 0.638 0.638 0.638